### Work order
The reader should quote everything further down without additions.

### Excerpt
+++
{
  "formula": "C29H84O13",
  "method": "ωB97M-V/def2-TZVPD",
  "s2": 0.75,
  "total_charge": 1,
  "e_homo_ev": [-11.083, -11.083],
  "spin_multiplicity": 2,
  "molar_mass_g_mol": 640.98,
  "total_energy_ev": -58040.574,
  "relative_energy_kcal_mol": 11.52,
  "homo_lumo_gap_ev": [8.99, 2.33],
  "species": ["C", "C", "O", "H", "H", "H", "H", "H", "H", "C", "C", "O", "H", "H", "H", "H", "H", "H", "C", "C", "O", "H", "H", "H", "H", "H", "H", "C", "C", "O", "H", "H", "H", "H", "H", "H", "C", "C", "O", "H", "H", "H", "H", "H", "H", "C", "C", "O", "H", "H", "H", "H", "H", "H", "C", "C", "O", "H", "H", "H", "H", "H", "H", "C", "C", "O", "H", "H", "H", "H", "H", "H", "C", "C", "O", "H", "H", "H", "H", "H", "H", "C", "C", "O", "H", "H", "H", "H", "H", "H", "C", "C", "C", "O", "H", "H", "H", "H", "H", "H", "H", "H", "C", "C", "C", "O", "H", "H", "H", "H", "H", "H", "H", "H", "C", "C", "C", "O", "H", "H", "H", "H", "H", "H", "H", "H"],
+++

### Here it is
{
  "formula": "C29H84O13",
  "method": "ωB97M-V/def2-TZVPD",
  "s2": 0.75,
  "total_charge": 1,
  "e_homo_ev": [-11.083, -11.083],
  "spin_multiplicity": 2,
  "molar_mass_g_mol": 640.98,
  "total_energy_ev": -58040.574,
  "relative_energy_kcal_mol": 11.52,
  "homo_lumo_gap_ev": [8.99, 2.33],
  "species": ["C", "C", "O", "H", "H", "H", "H", "H", "H", "C", "C", "O", "H", "H", "H", "H", "H", "H", "C", "C", "O", "H", "H", "H", "H", "H", "H", "C", "C", "O", "H", "H", "H", "H", "H", "H", "C", "C", "O", "H", "H", "H", "H", "H", "H", "C", "C", "O", "H", "H", "H", "H", "H", "H", "C", "C", "O", "H", "H", "H", "H", "H", "H", "C", "C", "O", "H", "H", "H", "H", "H", "H", "C", "C", "O", "H", "H", "H", "H", "H", "H", "C", "C", "O", "H", "H", "H", "H", "H", "H", "C", "C", "C", "O", "H", "H", "H", "H", "H", "H", "H", "H", "C", "C", "C", "O", "H", "H", "H", "H", "H", "H", "H", "H", "C", "C", "C", "O", "H", "H", "H", "H", "H", "H", "H", "H"],